What Even Diehard Fans Don't Know About Wonder Woman's Love Life

She's strong, fierce, independent, loving, compassionate, bold, and beautiful. But when it comes to romance, even Wonder Woman has had her fair share of problems over the years, getting mixed up with everyone from Superman to Batman to Aquaman, of all people. Sound crazy? Here's a look at some things even diehard fans don't know about Wonder Woman's strange love life.

Steve Trevor

Played by Chris Pine in the film, Steve Trevor is Wonder Woman's answer to Lois Lane. But while fans may be familiar with Trevor from the movie or the 1970s television show that saw him played by Lyle Waggoner, his romance with Diana has had more than a few ups and downs.

After his plane crashed in the ocean near Paradise Island, Trevor, an Air Force pilot, was rescued by Wonder Woman. It was love at first sight for both, and after Diana came to America, she set up a secret identity as Diana Prince, Trevor's assistant. Yet somehow Steve never seemed to figure out that his assistant and his superhero girlfriend were the same person. He only had eyes for Wonder Woman and that star-spangled bustier.

Though he called her "angel" for saving his life in the plane crash, Wonder Woman couldn't save him from every dumb decision he'd make, as Trevor was shockingly killed off in the February 1969 issue of Wonder Woman. And that's when things got really weird.

Wonder Woman and her mother Hippolyta beseeched Aphrodite to return Steve from the dead and she seemingly brought him back, only for Steve to be killed again by a demonic force. Hippolyta was so distraught at her daughter's despair that she later erased Wonder Woman's memories of Steve entirely.

But that turned out to be pointless, because a portal to an alternate universe opened up, and an alternate version of Steve came through, triggering the whole romance over again—until the second dead Steve came back from the grave! Eventually it was revealed that the "resurrected" version of Steve was actually the god of love Eros in disguise; he and Aphrodite then implanted the memories of the original, murdered Steve Trevor into the mind of the alternate universe Steve, merging them into one person. Diana and Steve then got married and lived happily ever after for about one week, at which point the entire universe was destroyed.

After the DC Universe was reformed, a new version of Steve Trevor appeared who was more a brother figure to Diana. He ended up marrying Diana's best buddy Etta Candy. But when that universe was also inevitably rebooted, yet another version of Steve debuted, this time as a bitter ex-boyfriend who acted as a liaison between the government and the Justice League. 

All of which is weird enough, but then there's this crazy fact: in the hit TV series, there were two versions of Steve who were both Diana's boyfriend—and they were also father and son, played by the same actor. And you thought comic books were confusing!

Mike Bailey

Remember when Steve Trevor was resurrected by Aphrodite, only to die again? After that second death, Diana decided to quit her job and become an astronaut at NASA, because that's what you do after your boyfriend bites the dust. It seemed to be a pretty good decision for her love life, because she soon became involved with a fellow astronaut in training by the name of Mike Bailey.

Unfortunately, it turned out that Mike was actually a member of the playing-card-themed supervillain team called the Royal Flush Gang. And he wasn't even the King or anything—he was just the lowly Ten of Spades. Naturally, Wonder Woman busted him, but she busted her own heart in the process. 

-- begin --
Crystalline Li5MnF8 at its relaxed geometry. Source: the Alexandria database, functional PBE+U.

Unit cell a=5.922 b=5.922 c=5.922 alpha=60.00 beta=60.00 gamma=60.00
Fractional coordinates of all 14 atoms:
F: 0.393 0.869 0.869
F: 0.869 0.393 0.869
Li: 0.000 0.000 0.000
F: 0.382 0.854 0.382
Li: 0.634 0.634 0.098
F: 0.382 0.382 0.382
Li: 0.634 0.634 0.634
F: 0.869 0.869 0.393
Li: 0.634 0.098 0.634
F: 0.854 0.382 0.382
F: 0.869 0.869 0.869
F: 0.382 0.382 0.854
Mn: 0.250 0.250 0.250
Li: 0.098 0.634 0.634

Calculated values
The total moment is 0.275 μB/atom. For the density of states at the Fermi level, the calculation gives 16.89 states/eV/cell. Its crystal system is cubic. As for the energy above the most stable polymorph in this dataset: 11.4 kJ per mole of atoms. Its symmetry is F-43m.
-- stop --

Keith Griggs

While all that nonsense about Steve Trevor being a zombie god was playing out, Diana got herself in a bit of a pickle when she explored a side romance with another Air Force officer by the name of Keith Griggs. Griggs had a lot in common with Steve Trevor, with one major difference: he wasn't interested romantically in Wonder Woman at all. He was actually interested in her alter ego Diana Prince, because he was impressed with her skill, intelligence, and bravery.

It's pretty obvious why Griggs would be pretty intriguing to Diana after decades of Steve putting her on a pedestal, calling her "angel," and not even noticing her when she's out of costume. Still, after a brief dalliance, Diana decided her heart was with Steve, and she broke things off with Keith. On the bright side for poor Griggs, at least his life ended up being a lot less complicated in the long run.


If you've seen Disney's Little Mermaid, you have a pretty good idea how the gender-flipped story of Mer-boy and Princess Diana went. Mer-boy, whose real name was Ronno, just wanted to be with his sweetie, the teenage Wonder Girl. Unfortunately, you know, he was half fish. Their doomed romance lasted throughout their teen years, but eventually, they grew up and realized that some ideas are just too silly even for comic books. Sorry, Ronno!

Trevor Barnes

First appearing in the July 2001 issue of Wonder Woman,Trevor Barnes was a modern romantic partner for a new millennium. A human rights advocate working for the United Nations, Trevor initially felt that Wonder Woman was out of his league. But through persistence, she eventually won him over, and they began a relationship.

Unfortunately, it wasn't meant to be—not due to some kind of comic threat of supervillain's plan, but just because, you know, sometimes these things don't quite work out. Don't worry, though, there were still some high-level comic book shenanigans involved: after they decided they should just be friends, Barnes accidentally became the host of a malevolent deity called the Shattered God, and was later killed by Zeus in order to protect the world.


Sometime after the unfortunate death of Trevor Barnes, Wonder Woman found herself in another relationship that was ultimately doomed by the difficulty of finding love in this crazy, mixed-up world. This time around, it was the former Suicide Squad member known as Nemesis who became romantically involved with Diana. After he helped save Paradise Island from destruction, Diana decided he'd be a good mate with which to start a family and carry on the Amazon tradition.

Unfortunately for her, Nemesis didn't want to have children. Plus, as a romantic, he wanted to marry for love, not biological convenience. As a result, he broke off their courtship and turned down her offer of marriage. 


If the idea of Batman and Wonder Woman being in a relationship seems like some sort of ridiculous fan service gone awry, well...it pretty much is. But DC Comics, eager to explore every possible romantic partner for Diana, has floated the idea of Batman and Wonder Woman a couple times—and it actually worked out pretty well.

Not in the comics, of course. Though the two briefly shared a kiss in the pages of JLA, Wonder Woman later used a mystical artifact to determine she and Batman were a bad fit (something pretty much anyone alive could have simply told her even without the magic of the gods).

But in the Justice League and Justice League Unlimited animated series, Wonder Woman and Batman actually developed an interesting if unlikely romantic partnership that became a fan favorite. Naturally.


DC Comics made headlines in 2016 when writer Greg Rucka announced that Wonder Woman is officially queer. It didn't really come as a surprise, as it had been hinted in the comics for decades. Many fans just took it as a given: considering she grew up on an island populated only by women, it just made sense.

Still, not much is really known or has been shown yet of her same-sex relationships. The only girlfriend of Wonder Woman's who has been given much of a story is Kaisa, one of her fellow Amazons, but several other possible Amazonian hookups have been mentioned as well. Will we get to see more of Kaisa, or another one of Wonder Woman's girlfriends? Only time will tell.


If Batman seemed like an unlikely romantic partner, then on the surface, Aquaman seems even more ridiculous. But if you (ahem) dive a little deeper, it almost kind of makes sense. Like Wonder Woman, Arthur Curry comes from a secret civilization from the ancient past. And like Princess Diana, Aquaman is royalty, ruling over Atlantis as a benevolent monarch. The two surprisingly have a lot in common. Plus, we already know from her teenage romance with Mer-boy that she likes those fishy men.

As a result, more than one writer has explored what might happen if the two hooked up. Most of it has just been unrequited attraction, with a running subplot in the '90s revealing Aquaman's secret pinings for Wonder Woman. In the Flashpoint crossover event, though, readers were treated to an alternate universe tale in which the teammates teamed up in a different way, getting hitched in a political marriage to seal an alliance between their two societies. It ended very, very badly, with Wonder Woman killing Aquaman's true love Mera, and Atlantis and Themyscira destroying half the world in an all-out war. Think about that the next time you feel like you're going through a bad breakup.


For decades, Wonder Woman and Superman seemed to have the ultimate will-they, won't-they relationship in comics. With Superman stuck in a perpetually unchanging relationship with Lois Lane, DC still managed to tease the possibilities in a number of near-miss stories. One, for instance, had the pair pretending to hook up in order to thwart a scheme to kill Lois, while another saw the would-be couple enchanted by Eros into hooking up. On another occasion, Superman kissed Wonder Woman after having an erotic dream about her, leading to what must have been one of the most awkward conversations in Justice League history.

And then there are all the alternate universe and "imaginary" stories when they got married, or hooked up after Lois died, or had babies, or just made out after arguing about how big of a jerk Batman is.

It wasn't until 2012 that DC finally pulled the trigger and actually had the two begin a real, in-continuity relationship. That story is no longer in continuity, but it does pose some pretty big questions about what's going to happen with the characters in the DC Extended Universe, especially since Steve Trevor is no longer a roadblock to happiness in the films. Are Henry Cavill and Gal Godot going to become the ultimate onscreen power couple? Or are movie fans going to be teased with years worth of flirting the way comics readers were?

One thing's for sure: eventually, inevitably, Wonder Woman will finally lasso the perfect partner.